## Entries
........
Record 1
One molecule with the formula C3H3NO, computed with ωB97M-V/def2-TZVPD.

As for the HOMO energy: -10.831 eV. Its total energy is -246.04391 Eh. The calculation puts the frontier orbital gap at 11.1 eV.

Last column: Löwdin charge in e.
CARTESIAN COORDINATES (ANGSTROEM)
N (0.3228, 1.6734, -1.1754)  0.18
C (0.2098, 1.0513, -0.2117)  -0.27
C (0.2165, 0.2461, 0.9343)  -0.19
C (-0.0611, -1.2111, 0.5435)  -0.22
O (-0.7441, -1.3790, -0.4865)  0.03
H (-0.3853, 0.5090, 1.8183)  0.13
H (1.3182, 0.3033, 1.3615)  0.16
H (0.5691, -2.0116, 1.3441)  0.18

Record 2
A 2-piece molecular cluster, C4H6N2O overall, computed with ωB97M-V/def2-TZVPD.

As for the HOMO energy: -8.848 eV. Its total energy is -340.59433 Eh. The calculation puts the frontier orbital gap at 9.3 eV.

Last column: Löwdin charge in e.
CARTESIAN COORDINATES (ANGSTROEM)
C (0.8966, -1.3549, -0.5563)  0.00
C (0.3963, -0.1042, -0.9378)  -0.35
C (-0.9955, 0.2150, -0.8291)  0.01
C (-0.9951, 0.7914, 0.4154)  -0.45
O (-2.0472, 1.0595, 1.1945)  0.09
N (0.2781, 0.8961, 0.9460)  0.02
N (1.0669, 0.9260, -0.2572)  -0.04
H (0.5312, -0.6028, 0.8565)  0.23
H (1.9716, -1.5050, -0.4568)  0.07
H (0.3270, -2.2560, -0.7726)  0.07
H (-1.8277, -0.2266, -1.3561)  0.11
H (-1.7066, 1.5234, 1.9749)  0.12
H (2.0150, 0.6699, 0.0017)  0.11

Record 3
One molecule with the formula C5H10F3NO, computed with ωB97M-V/def2-TZVPD.

As for the HOMO energy: -9.939 eV. Its total energy is -626.08817 Eh. The calculation puts the frontier orbital gap at 10.7 eV.

Last column: Löwdin charge in e.
CARTESIAN COORDINATES (ANGSTROEM)
C (-0.1556, 0.7842, 1.7141)  -0.07
C (-0.4231, 0.6407, 0.2559)  -0.34
C (0.3511, 1.7616, -0.4459)  -0.05
C (-0.2433, -0.7636, -0.3982)  -0.38
N (-0.7018, -0.6661, -1.8522)  0.14
O (-1.2160, -1.6577, 0.2417)  -0.01
C (1.0307, -1.4856, -0.1517)  -0.62
F (1.2908, -1.7459, 1.0956)  0.20
F (1.0734, -2.6756, -0.8428)  0.12
F (2.1254, -0.8722, -0.5661)  0.17
H (-0.4923, 0.0643, 2.3758)  0.06
H (0.8647, 0.9045, 1.9294)  0.07
H (-0.4981, 1.7432, 2.2060)  0.12
H (-1.4197, 0.7597, 0.0364)  0.11
H (1.3428, 1.8224, -0.1407)  0.05
H (0.3256, 1.8105, -1.5745)  0.10
H (-0.0268, 2.6793, -0.0766)  0.07
H (-1.4227, -1.2303, -2.1095)  0.04
H (0.0550, -0.7550, -2.5138)  0.09
H (-1.8600, -1.1183, 0.8171)  0.14

Record 4
C14H16ClNO4S as an isolated structure, computed with ωB97M-V/def2-TZVPD.

As for the HOMO energy: -8.979 eV. Its total energy is -1756.71365 Eh. The calculation puts the frontier orbital gap at 9.3 eV.

Last column: Löwdin charge in e.
CARTESIAN COORDINATES (ANGSTROEM)
C (0.1895, -2.1488, -1.7987)  -0.03
H (-0.7793, -2.8863, -1.7226)  0.17
H (-0.1739, -1.4474, -2.4390)  0.05
H (0.9249, -2.6562, -2.3307)  0.08
C (0.3431, -1.5953, -0.5027)  -0.50
C (1.1342, -2.7882, 0.3192)  0.01
H (1.4572, -2.4475, 1.4101)  0.11
H (1.9512, -3.2730, -0.2994)  0.09
H (0.3474, -3.7048, 0.1948)  0.13
C (-0.7312, -1.2145, 0.3305)  -0.74
O (-1.6611, -1.7317, -0.1043)  0.16
N (-0.5038, -0.4914, 1.2221)  0.01
C (0.4708, 0.3124, 1.8908)  -0.47
H (1.5915, -0.5217, 1.8838)  0.18
H (0.7701, 1.1179, 1.2485)  0.08
S (0.3769, 0.7361, 3.6526)  0.87
C (-1.4899, 1.1216, 3.1788)  -0.21
H (-2.0390, 1.1090, 3.9752)  0.02
H (-1.4804, 1.8074, 2.5412)  -0.01
C (-1.6324, -0.1338, 2.1547)  -0.12
C (-2.8820, 0.2796, 1.0150)  -0.48
O (-2.4525, 1.1024, 0.2302)  0.10
O (-3.8974, -0.3866, 1.3749)  0.22
H (-4.4797, -0.0512, 0.7645)  0.10
H (-2.1939, -1.2037, 2.4331)  0.20
O (1.5768, -0.8101, -0.4816)  -0.10
C (1.3450, 0.6101, -1.0641)  -0.27
C (0.2642, 0.9098, -1.4838)  0.02
C (0.2907, 2.4212, -1.9732)  -0.05
C (1.3872, 3.0188, -2.1965)  -0.63
C (2.6075, 2.3093, -2.0433)  -0.12
C (2.5355, 1.1730, -1.5065)  -0.05
H (3.5851, 0.6405, -1.1448)  0.20
H (3.4410, 3.0495, -2.1803)  0.13
Cl (1.3076, 4.6400, -2.9944)  0.60
H (-0.6512, 2.6041, -2.2419)  0.07
H (-0.8497, 0.5297, -1.3124)  0.17

Record 5
A 2-piece molecular cluster, CH3ClN2O2 overall, computed with ωB97M-V/def2-TZVPD.
........

## Assignment
Your job: copy everything earlier on exactly.

## Solution
Record 1
One molecule with the formula C3H3NO, computed with ωB97M-V/def2-TZVPD.

As for the HOMO energy: -10.831 eV. Its total energy is -246.04391 Eh. The calculation puts the frontier orbital gap at 11.1 eV.

Last column: Löwdin charge in e.
CARTESIAN COORDINATES (ANGSTROEM)
N (0.3228, 1.6734, -1.1754)  0.18
C (0.2098, 1.0513, -0.2117)  -0.27
C (0.2165, 0.2461, 0.9343)  -0.19
C (-0.0611, -1.2111, 0.5435)  -0.22
O (-0.7441, -1.3790, -0.4865)  0.03
H (-0.3853, 0.5090, 1.8183)  0.13
H (1.3182, 0.3033, 1.3615)  0.16
H (0.5691, -2.0116, 1.3441)  0.18

Record 2
A 2-piece molecular cluster, C4H6N2O overall, computed with ωB97M-V/def2-TZVPD.

As for the HOMO energy: -8.848 eV. Its total energy is -340.59433 Eh. The calculation puts the frontier orbital gap at 9.3 eV.

Last column: Löwdin charge in e.
CARTESIAN COORDINATES (ANGSTROEM)
C (0.8966, -1.3549, -0.5563)  0.00
C (0.3963, -0.1042, -0.9378)  -0.35
C (-0.9955, 0.2150, -0.8291)  0.01
C (-0.9951, 0.7914, 0.4154)  -0.45
O (-2.0472, 1.0595, 1.1945)  0.09
N (0.2781, 0.8961, 0.9460)  0.02
N (1.0669, 0.9260, -0.2572)  -0.04
H (0.5312, -0.6028, 0.8565)  0.23
H (1.9716, -1.5050, -0.4568)  0.07
H (0.3270, -2.2560, -0.7726)  0.07
H (-1.8277, -0.2266, -1.3561)  0.11
H (-1.7066, 1.5234, 1.9749)  0.12
H (2.0150, 0.6699, 0.0017)  0.11

Record 3
One molecule with the formula C5H10F3NO, computed with ωB97M-V/def2-TZVPD.

As for the HOMO energy: -9.939 eV. Its total energy is -626.08817 Eh. The calculation puts the frontier orbital gap at 10.7 eV.

Last column: Löwdin charge in e.
CARTESIAN COORDINATES (ANGSTROEM)
C (-0.1556, 0.7842, 1.7141)  -0.07
C (-0.4231, 0.6407, 0.2559)  -0.34
C (0.3511, 1.7616, -0.4459)  -0.05
C (-0.2433, -0.7636, -0.3982)  -0.38
N (-0.7018, -0.6661, -1.8522)  0.14
O (-1.2160, -1.6577, 0.2417)  -0.01
C (1.0307, -1.4856, -0.1517)  -0.62
F (1.2908, -1.7459, 1.0956)  0.20
F (1.0734, -2.6756, -0.8428)  0.12
F (2.1254, -0.8722, -0.5661)  0.17
H (-0.4923, 0.0643, 2.3758)  0.06
H (0.8647, 0.9045, 1.9294)  0.07
H (-0.4981, 1.7432, 2.2060)  0.12
H (-1.4197, 0.7597, 0.0364)  0.11
H (1.3428, 1.8224, -0.1407)  0.05
H (0.3256, 1.8105, -1.5745)  0.10
H (-0.0268, 2.6793, -0.0766)  0.07
H (-1.4227, -1.2303, -2.1095)  0.04
H (0.0550, -0.7550, -2.5138)  0.09
H (-1.8600, -1.1183, 0.8171)  0.14

Record 4
C14H16ClNO4S as an isolated structure, computed with ωB97M-V/def2-TZVPD.

As for the HOMO energy: -8.979 eV. Its total energy is -1756.71365 Eh. The calculation puts the frontier orbital gap at 9.3 eV.

Last column: Löwdin charge in e.
CARTESIAN COORDINATES (ANGSTROEM)
C (0.1895, -2.1488, -1.7987)  -0.03
H (-0.7793, -2.8863, -1.7226)  0.17
H (-0.1739, -1.4474, -2.4390)  0.05
H (0.9249, -2.6562, -2.3307)  0.08
C (0.3431, -1.5953, -0.5027)  -0.50
C (1.1342, -2.7882, 0.3192)  0.01
H (1.4572, -2.4475, 1.4101)  0.11
H (1.9512, -3.2730, -0.2994)  0.09
H (0.3474, -3.7048, 0.1948)  0.13
C (-0.7312, -1.2145, 0.3305)  -0.74
O (-1.6611, -1.7317, -0.1043)  0.16
N (-0.5038, -0.4914, 1.2221)  0.01
C (0.4708, 0.3124, 1.8908)  -0.47
H (1.5915, -0.5217, 1.8838)  0.18
H (0.7701, 1.1179, 1.2485)  0.08
S (0.3769, 0.7361, 3.6526)  0.87
C (-1.4899, 1.1216, 3.1788)  -0.21
H (-2.0390, 1.1090, 3.9752)  0.02
H (-1.4804, 1.8074, 2.5412)  -0.01
C (-1.6324, -0.1338, 2.1547)  -0.12
C (-2.8820, 0.2796, 1.0150)  -0.48
O (-2.4525, 1.1024, 0.2302)  0.10
O (-3.8974, -0.3866, 1.3749)  0.22
H (-4.4797, -0.0512, 0.7645)  0.10
H (-2.1939, -1.2037, 2.4331)  0.20
O (1.5768, -0.8101, -0.4816)  -0.10
C (1.3450, 0.6101, -1.0641)  -0.27
C (0.2642, 0.9098, -1.4838)  0.02
C (0.2907, 2.4212, -1.9732)  -0.05
C (1.3872, 3.0188, -2.1965)  -0.63
C (2.6075, 2.3093, -2.0433)  -0.12
C (2.5355, 1.1730, -1.5065)  -0.05
H (3.5851, 0.6405, -1.1448)  0.20
H (3.4410, 3.0495, -2.1803)  0.13
Cl (1.3076, 4.6400, -2.9944)  0.60
H (-0.6512, 2.6041, -2.2419)  0.07
H (-0.8497, 0.5297, -1.3124)  0.17

Record 5
A 2-piece molecular cluster, CH3ClN2O2 overall, computed with ωB97M-V/def2-TZVPD.